VIDEO Prosecutors Ignore Judge’s Order To Release Flynn Transcript | All In | MSNBC


Here the entry breaks off for calculated molecules:
~~~
(1)
{
  "formula": "C5H12O",
  "method": "the ωB97M-V functional and the def2-TZVPD basis",
  "orbital_gap_ev": 11.2,
  "relative_energy_kj_mol": 43.64,
  "homo_energy_ev": -10.2,
  "energy_ha": -272.9320,
  "elements": ["C", "C", "C", "C", "C", "O", "H", "H", "H", "H", "H", "H", "H", "H", "H", "H", "H", "H"],
  "xyz": [[-1.288718, 0.740934, -1.458878], [-0.599642, -0.311616, -0.584497], [-1.616530, -0.968375, 0.355967], [0.580729, 0.196445, 0.267236], [1.910257, 0.530127, -0.446725], [3.047251, -0.029478, 0.215305], [-0.601465, 1.190199, -2.184315], [-1.714935, 1.550102, -0.851128], [-2.115861, 0.287366, -2.022035], [-0.207806, -1.096409, -1.250277], [-2.043177, -0.227774, 1.045198], [-1.135322, -1.743630, 0.963811], [-2.445019, -1.434005, -0.189948], [0.243913, 1.035838, 0.892474], [0.796013, -0.616276, 0.973669], [2.097816, 1.611174, -0.483793], [1.873277, 0.187997, -1.491339], [3.261579, -0.874111, -0.203645]],
  "atomic_forces_ev_per_a": [[0.06, 0.04, -0.01], [0.03, -0.08, 0.01], [-0.05, -0.05, 0.04], [-0.01, -0.14, 0.17], [-0.27, 0.19, -0.20], [-0.03, -0.25, -0.23], [-0.05, -0.04, 0.11], [0.12, -0.13, -0.03], [0.20, 0.09, 0.10], [-0.03, 0.10, 0.07], [0.06, -0.08, -0.12], [-0.11, 0.10, -0.10], [0.13, 0.11, 0.03], [0.08, -0.06, -0.17], [0.18, 0.18, -0.08], [-0.17, -0.22, 0.06], [-0.02, -0.01, 0.14], [-0.11, 0.26, 0.22]]
}


(2)
{
  "formula": "C5H11NOS",
  "method": "the ωB97M-V functional and the def2-TZVPD basis",
  "orbital_gap_ev": [8.4, 7.3],
  "relative_energy_kj_mol": 193.76,
  "homo_energy_ev": [-8.5, -9.2],
  "spin_multiplicity": 3,
  "energy_ha": -725.0489,
  "s_squared": 2.035,
  "elements": ["C", "C", "C", "C", "C", "N", "O", "S", "H", "H", "H", "H", "H", "H", "H", "H", "H", "H", "H"],
  "xyz": [[0.787862, 0.330829, -1.116476], [-2.200503, 1.554799, 1.033852], [1.037978, -2.487035, 0.116333], [-0.577001, 0.478262, -0.777193], [-0.691276, 1.149357, 0.677196], [1.528167, -2.117839, -1.110567], [3.411090, 0.999706, -1.227476], [1.962321, 1.423577, -1.192743], [-2.799042, 0.791076, 0.650580], [-2.519284, 2.483085, 0.473706], [-2.343726, 1.870043, 2.052149], [0.009408, -2.333402, 0.366873], [1.033494, -3.531586, 0.114916], [1.638013, -2.235816, 1.045687], [-1.150984, -0.483481, -0.748119], [-1.026730, 1.151430, -1.523079], [-0.389049, 0.425532, 1.445441], [-0.149613, 2.088572, 0.747803], [2.438873, -1.557111, -1.028884]],
  "atomic_forces_ev_per_a": [[2.64, 1.29, -0.16], [2.00, 1.95, -1.75], [1.47, 0.37, 3.08], [-2.00, 0.72, 1.68], [-2.30, 0.19, 0.02], [1.79, 1.32, -1.75], [-1.80, 0.04, -0.09], [0.90, -0.90, -0.05], [-1.46, -1.33, 0.14], [0.56, -0.89, 0.17], [-0.02, -0.65, 0.60], [-1.03, 0.82, -0.42], [0.10, -2.33, 0.03], [-0.50, 0.13, -0.92], [0.49, 0.70, -0.28], [-0.33, -0.24, 0.16], [0.36, 0.27, -0.33], [0.63, -0.34, -0.15], [-1.50, -1.09, 0.01]]
}


Q: What is the formula in the first record?
A: C5H12O


Q: Number 1 is which compound?
A: C5H12O

~~~~~

15
~~~
Cooler King
• Molecular data, kept here for reference:
/*
{
  "formula": "C4H12",
  "method": "ωB97M-V with the def2-TZVPD basis set",
  "symbols": ["C", "C", "H", "H", "H", "H", "H", "H", "C", "C", "H", "H", "H", "H", "H", "H"],
  "xyz": [[-2.69620, 0.58000, -0.97845], [-1.22709, 1.24780, -1.04936], [-3.20130, 0.33811, -1.97850], [-2.39652, -0.26432, -0.47283], [-3.32026, 1.14518, -0.18586], [-1.15770, 2.28584, -1.01661], [-0.83365, 0.96904, -2.08242], [-0.64811, 0.68059, -0.23583], [2.50651, -0.40676, 0.98478], [1.32572, -1.39578, 1.06562], [2.79294, -0.00303, 1.94771], [3.35258, -0.82439, 0.47474], [2.25287, 0.47675, 0.25452], [0.44817, -0.89848, 0.95192], [1.32567, -1.79420, 2.00479], [1.47635, -2.13636, 0.31580]],
  "atomic_forces_ev_per_a": [[0.16, 3.00, -0.01], [-0.57, -3.64, -1.30], [0.66, 0.68, 1.68], [-0.26, -2.59, 0.71], [0.52, -0.74, -1.76], [-0.06, 1.74, 0.55], [-0.03, 0.15, 1.44], [-0.40, 1.42, -1.32], [-1.07, 1.84, -1.94], [3.17, 0.86, -1.23], [0.08, 0.13, 0.06], [0.64, -0.52, 0.18], [0.25, -1.34, 1.56], [-2.71, 1.30, -0.57], [-0.06, -1.56, 2.43], [-0.31, -0.74, -0.49]],
  "e_lumo_ev": 1.15,
  "smiles": "CC.CC",
  "spin_multiplicity": 1
}

=====

{
  "formula": "C4H6N4",
  "method": "ωB97M-V with the def2-TZVPD basis set",
  "symbols": ["H", "N", "C", "C", "N", "C", "C", "N", "N", "H", "H", "H", "H", "H"],
  "xyz": [[3.29432, -0.00641, -1.38001], [3.08196, -0.84833, -0.71943], [1.83954, -0.68222, -0.20928], [1.15859, -1.64721, 0.71647], [-0.01028, -1.09804, 1.00805], [-0.16589, 0.03983, 0.22243], [-1.58409, 0.51850, 0.29564], [-2.00021, 1.34432, -0.76823], [0.84323, 0.43917, -0.57967], [1.59172, -2.12806, 1.50642], [-1.87212, 0.92178, 1.29247], [-2.09828, -0.55309, 0.42172], [-1.13514, 1.71790, -1.14985], [-2.94336, 1.98186, -0.65672]],
  "atomic_forces_ev_per_a": [[-0.60, -1.65, 1.49], [-4.20, 2.27, 0.75], [3.17, 0.57, -3.46], [-2.67, 5.16, -0.35], [2.23, -1.96, 0.25], [0.97, 1.30, -2.39], [-1.45, -2.07, 1.58], [-2.36, 1.51, -0.54], [-0.75, -3.35, 3.23], [1.34, -2.47, 1.15], [0.83, -0.08, -0.16], [0.47, 1.95, -0.86], [-0.93, 0.88, -0.45], [3.96, -2.06, -0.24]],
  "e_lumo_ev": -1.49,
  "smiles": "[H]/N=C1/C=NC(CN)=N1",
  "spin_multiplicity": 1
}

=====

{
  "formula": "ClMn2O4",
  "method": "ωB97M-V with the def2-TZVPD basis set",
  "symbols": ["Mn", "Mn", "Cl", "O", "O", "O", "O"],
  "xyz": [[-2.12580, 0.66774, -2.77582], [3.01109, -1.96249, 1.29856], [-0.12935, 0.19482, 0.29417], [1.20858, -0.31507, 0.36841], [-0.15987, 1.62259, 0.61637], [-0.62499, 0.21303, -1.02482], [-1.17966, -0.42062, 1.22314]],
  "atomic_forces_ev_per_a": [[1.15, -0.22, 1.74], [-1.14, 1.03, -0.31], [-6.46, 5.76, 8.64], [2.70, -2.46, 0.03], [1.65, -2.19, -0.11], [-1.91, -1.81, -6.87], [4.01, -0.11, -3.12]],
  "e_lumo_ev": [-15.79, -15.60],
  "spin_multiplicity": 11,
  "charge": 3
}

~~~~~

Record 1
Formula: C45H62O11P2V
Source: the Open Molecules 2025 dataset
Level of theory: ωB97M-V/def2-TZVPD

XYZ file:
```
121
C45H62O11P2V | the Open Molecules 2025 dataset | ωB97M-V/def2-TZVPD
V 0.899 1.578 -0.336
*/
Staff member
Apr 15, 2009
🇺🇸 :shocked:

Prosecutors Ignore Judge’s Order To Release Michael Flynn Transcript | All In | MSNBC
In a significant development, federal prosecutors have disregarded a judge's direct order to release a transcript of the phone call between Michael Flynn and the Russian ambassador, as discussed on MSNBC's "All In" with Chris Hayes. This situation raises urgent questions surrounding legal compliance and transparency within the judiciary system.
The essence of the issue lies in the refusal of the Department of Justice (DOJ) to produce a transcript that a federal judge deemed necessary for determining the appropriate sentencing for Flynn, who is at the center of an ongoing investigation related to Russian interference in American politics. The legal turmoil stems from a previous judge's directive aimed at gaining clarity on Flynn’s communications during his tenure as national security advisor.
The video breakdown from MSNBC reveals key discussions, including opinions from legal experts who pinpoint the seriousness of this defiance. They argue that such actions from the DOJ could signify profound implications for legal accountability, potentially hinting at higher-level directives influencing prosecutorial decisions.
### Key Points Highlighted in the Video:
  • The conversation centered around Flynn’s previous conversations where he allegedly misled FBI agents, which led him to plead guilty.
  • Experts speculate that the DOJ's refusal could be paving the way for potential privilege claims, intriguing since Flynn's controversial interactions occurred while he was a president-elect, not yet fully in office.
  • The repercussions of such a standoff between the DOJ and judiciary might lead to heightened scrutiny of judicial independence and executive power.
This situation underscores a troubling precedent—if legal mandates can be overlooked without accountability, it may set a dangerous precedent regarding the rule of law.
As of now, there is significant interest among the legal community regarding how Judge Sullivan will respond to the DOJ's maneuver, especially given his previous admonitions towards Flynn during court proceedings.
What are your thoughts? Do you believe the prosecutors' refusal highlights a deeper issue within the justice system, or is it merely a standard operational disagreement? Feel free to share your insights and any related experiences regarding legal processes or similar cases!
